Virtual Trade Teams Allow More And Different Customers To Visit U.S. Grain Chain

Anyone who has participated in a U.S. Grains Council trade team knows how much work goes into pulling them off – and how rich the experience is for customers visiting the United States and their hosts in the U.S. countryside.

While tractor rides aren’t possible by webinar, the Council has learned in the past eight months of restricted travel due to COVID-19 that virtual trade teams can often reach a broader, more varied audience by requiring a shorter time commitment and far fewer travel logistics.

The virtual environment has allowed the Council to expand the breadth of its team participants across the whole value chain, including small, emerging grain buyers, large, established buyers and more individuals within target companies.

“Normally, in-person programs last a week and are planned around the needs of customers,” said Kurt Shultz, USGC senior director of global strategies, who also previously ran the Council’s offices in Tunisia and Panama. “However, now that trade teams are virtual, the Council can reach a wider, more diverse audience in a shorter amount of time without the customers having to leave the comfort of their offices.”

The entry is interrupted by records of crystals.
........
No. 1
SrTlPd2: relaxed, PBE.

It has space group Pmma (No. 51), with a = 5.7634 Å, b = 5.6441 Å, c = 13.4649 Å, α = 90.00°, β = 90.00° and γ = 90.00°. The asymmetric unit holds Sr at (0.2500, 0.0000, 0.0815), Sr at (0.2500, 0.5000, 0.4004), Tl at (0.2500, 0.0000, 0.8006), Tl at (0.2500, 0.5000, 0.8218), Pd at (0.0000, 0.0000, 0.5000), Pd at (0.0000, 0.5000, 0.0000) and Pd at (0.2500, 0.2592, 0.6312).

Its formation energy is -0.25 eV per atom. The volume is 27.38 A^3/atom. The calculation puts the total energy at -61.70 eV per cell. Its crystal system is orthorhombic.

***

No. 2
BaAl3: relaxed, PBE.

It has space group Immm (No. 71), with a = 3.1402 Å, b = 6.0300 Å, c = 10.9301 Å, α = 90.00°, β = 90.00° and γ = 90.00°. The asymmetric unit holds Ba at (0.0000, 0.0000, 0.0000), Al at (0.0000, 0.0000, 0.5000) and Al at (0.0000, 0.5000, 0.2114).

Its formation energy is 0.21 eV per atom. The volume is 25.87 A^3/atom. The calculation puts the total energy at -24.61 eV per cell. Its crystal system is orthorhombic.

***

No. 3
SrNi9P4: relaxed, PBE.

It has space group I4/mcm (No. 140), with a = 7.7804 Å, b = 7.7804 Å, c = 11.4734 Å, α = 90.00°, β = 90.00° and γ = 90.00°. The asymmetric unit holds Sr at (0.0000, 0.0000, 0.2500), Ni at (0.0000, 0.5000, 0.0000), Ni at (0.0791, 0.2011, 0.0000), Ni at (0.1360, 0.3640, 0.1891) and P at (0.1671, 0.3329, 0.3801).

Its formation energy is -0.44 eV per atom. The volume is 12.40 A^3/atom. The calculation puts the total energy at -326.08 eV per cell. Its crystal system is tetragonal.

~~~~~

Computed, not measured: crystalline Ba2MgFe2O6 at its relaxed geometry at the PBE with a Hubbard U level of DFT.

abc: 5.9522 5.9522 6.5339
angles: 62.90 62.90 60.00
Fractional coordinates of all 11 atoms:
O1 0.2401 0.2401 0.7550
O2 0.7649 0.2401 0.7550
O3 0.2401 0.7649 0.7550
O4 0.7599 0.2351 0.2450
O5 0.7599 0.7599 0.2450
........

Traditionally trade teams are focused on the needs of a target audience, for instance technical teams focused on solving specific problems or purchasing teams looking to learn about the current U.S. crop and meet suppliers and exporters.

Members of technical teams often seek to learn more about nutrition, finance, biotechnology or other issues on which the Council will connect them with specialists and consultants. This interaction can still happen – and sometimes more quickly – through video conferencing.

In contrast, members of purchasing teams most want to see the product in the field and learn about U.S. farming practices. To meet this need, the Council has developed a series of virtual farm tours featuring U.S. producers who answer questions after a video presentation, including 19 trade teams that virtually visited U.S. corn and sorghum states after the Council’s Virtual Grain Exchange in October.

During an in-person program, the Council can only host so many participants, who are often the senior buyers from each company in a sector, country or region. However, the virtual world has allowed whole buyer teams to participate, in addition to experts across business functions. In some cases, senior executives who could not make the time to visit the United States in person have been able to attend virtual events.

“The trade teams hosted during VGE were tremendously successful and really highlighted the creativity and ingenuity of the Council’s members in adapting to this unique marketing challenge this year,” Shultz said. “Without a doubt, both the U.S. industry and our international customers took a huge leap forward this year in adapting to the virtual world.”

With hope on the horizon for resumed in-person travel in 2021, the Council is already thinking about how to integrate virtual tools into work with customers, including virtual trade teams to complement in-person events.

“The Council emphasizes building relationships with international customers and farmers,” Shultz said. “Now, it has adopted another tool we plan to keep in our toolbox. In the end, education and relationships are key to what the Council does, whether we do it in person or in the virtual world. Our international customers appreciate the investment the Council and our members make in their long-term growth and success.”